Am Fam Physician. 2005;72(12):2540
Although the ideal length of an office visit is unknown, studies have shown a relationship between shorter visits and lower quality of care. At the same time, shorter office visits can mean greater productivity for physicians. Lo and associates conducted a study using data from the National Ambulatory Medical Care Survey. This study sought to determine how much time physicians spend with different age groups and identify factors influencing visit length. Because older patients' problems often are more numerous and more complex, the authors hypothesized that more time would be spent with this age group than with younger patients.
This study included participants 45 years and older and drew data from 3,819 visits. Age was broken into three categories: 45 to 64 years, 65 to 74 years, and 75 years and older. The primary independent variable of the study was how much time a family medicine, general practice, or internal medicine physician spent face-to-face with each patient. New patient visits were excluded. The study also evaluated visit characteristics such as reason for the visit, number of visits in preceding 12 months, number of diagnoses, and medications prescribed. The study also categorized visits according to chronic illnesses. Analysis controlled for covariates such as clinic characteristics and presence of comorbid illnesses, and correlated duration of visits with the individual physician's practices.
Older patients (75 years and older) had more chronic problems and more frequent visits to primary care physicians. The mean number of diagnoses for patients 45 to 64 years of age was 1.9. The mean number for older patients was 2.2. This is a statistically significant difference. Older patients also were taking more medications that often required more counseling and more monitoring than the younger group.
Next to the article, the page also holds data records =
'''
This record from the Open Molecules 2025 dataset describes a structure of composition C30H20BrClN5O7Rh. The level of theory is ωB97M-V/def2-TZVPD.

HOMO energy: -8.42 eV
energy relative to the best compared isomer or geometry (same formula, charge and spin): 0.0 kcal/mol
E_LUMO: -1.44 eV
2S+1: 1
Kohn-Sham gap: 6.98 eV
total energy: -5100.5107 Eh

The geometry in XYZ format:
```
65
Properties=species:S:1:pos:R:3:forces:R:3
Rh -1.40735 -1.50520 0.11106 -0.3325 -0.2579 -0.0556
O -0.51174 1.39516 -3.16121 0.0007 -0.0613 -0.0012
C -1.26695 2.39204 -2.66122 -0.0640 0.0392 0.0135
C -1.22329 3.61065 -3.34185 -0.0023 -0.0016 0.0073
C -1.95459 4.68850 -2.89326 0.0004 -0.0021 0.0050
C -2.74798 4.58402 -1.75032 0.0000 0.0072 -0.0040
C -2.78987 3.38875 -1.06885 -0.0038 0.0062 -0.0167
C -2.05737 2.27665 -1.50330 0.0100 0.0480 0.0342
C -2.09072 1.03325 -0.71473 -0.0682 -0.0369 0.1449
O -1.50779 -0.02084 -1.23631 0.1843 0.0931 0.1580
N -2.65640 1.02406 0.46586 0.1136 0.0365 -0.1839
N -2.53798 -0.22530 1.05755 0.0354 -0.0337 0.0684
C -3.10576 -0.42702 2.19758 0.1077 -0.0245 -0.0534
C -2.96234 -1.61794 2.98456 0.0459 -0.0345 -0.1048
C -3.52365 -1.58525 4.27931 -0.0015 -0.0626 0.0370
C -3.43071 -2.65099 5.13364 0.0149 -0.0151 -0.0256
C -2.76138 -3.80731 4.70107 -0.0174 0.0359 0.0259
C -2.20637 -3.87789 3.44973 -0.0469 0.0436 0.0204
C -2.29437 -2.79642 2.54482 -0.0742 0.0466 0.0797
O -1.78450 -2.98646 1.35451 0.1770 -0.0062 -0.1077
H -0.67999 0.59298 -2.62706 0.0061 0.0105 -0.0249
H -0.60384 3.67317 -4.22634 0.0002 -0.0010 -0.0022
H -1.91185 5.62297 -3.43810 0.0013 -0.0003 -0.0007
H -3.32431 5.43032 -1.40307 -0.0013 0.0006 -0.0023
H -3.39319 3.28217 -0.17790 0.0034 -0.0048 -0.0015
H -3.69766 0.39509 2.59161 0.0011 -0.0066 -0.0056
H -4.03605 -0.68229 4.59016 -0.0046 0.0004 0.0070
H -3.86585 -2.60528 6.12182 0.0005 0.0012 0.0009
H -2.68263 -4.65958 5.36427 0.0013 -0.0004 0.0032
H -1.69933 -4.76857 3.10403 0.0005 -0.0047 0.0008
O 1.53843 -3.31190 -5.06430 0.1038 0.0729 -0.0852
C 2.31407 -2.28454 -4.77682 -0.0831 -0.0554 -0.0524
O 3.19351 -1.91557 -5.51453 0.0333 0.0041 -0.0103
C 2.06199 -1.56838 -3.48577 -0.0212 -0.0122 -0.0433
C 2.76052 -0.44140 -3.09981 -0.0386 0.1017 -0.0121
Cl 3.95421 0.46223 -3.89591 0.0085 -0.0040 -0.0001
N 2.28685 -0.04999 -1.89429 0.0319 -0.1310 0.1105
N 1.31435 -0.86533 -1.46481 -0.0329 0.0394 0.0167
C 1.15518 -1.77624 -2.40735 0.0123 -0.0080 0.0461
C 0.13471 -2.86154 -2.20347 -0.0254 -0.0455 0.0231
O 0.01959 -3.72554 -3.07011 -0.0816 -0.0231 0.0367
O -0.55053 -2.89298 -1.11853 0.0785 0.0972 0.0987
C 2.67473 1.04742 -1.06958 -0.0137 0.0179 -0.0259
C 1.69038 1.92397 -0.63836 -0.0012 0.0134 -0.0080
C 2.03825 2.97938 0.18893 -0.0058 -0.0072 0.0137
C 3.36023 3.15208 0.57743 0.0026 0.0015 0.0076
C 4.33491 2.26668 0.14023 0.0025 0.0024 0.0008
C 3.99615 1.20396 -0.68560 -0.0070 -0.0042 0.0028
H 0.89145 -3.50640 -4.32367 0.0296 -0.0315 0.0484
H 0.67165 1.78063 -0.97062 0.0253 -0.0020 0.0229
H 1.27525 3.67190 0.52072 -0.0003 -0.0009 0.0019
'''
Visit duration did not differ significantly after researchers made adjustments for confounding factors. The mean duration times were 17.9 minutes for patients 45 to 64 years of age, 18.4 minutes for patients 65 to 74 years of age, and 18.4 minutes for patients 75 years and older.
Misdiagnosis, lack of preventive care, and incomplete history-taking are associated with shorter office visits. Although illness often increases in complexity and number as patients age, the authors conclude that the mean length of office visits did not increase with age. Given the way in which the calculations of this study were performed, it is possible that the lack of difference in visit duration is because of the greater frequency of visits by older patients. In that case, adequate care might be delivered to older patients over multiple visits. Because counseling and medication issues are essential in geriatric care, more time may be needed to monitor and educate older patients. Although it has not been established that visit duration correlates with quality of care, the authors suggest that a multidisciplinary approach for geriatric patients, particularly with the assistance of ancillary staff, may be needed to provide adequate medical care.